_Exercise_
Start at the top of the material further below and quote each line, ending with the one that has "crystalline Pm2Zn3Sn2".
_Contents_
+++
V3Te12Au5 | PBE-GGA | optimized geometry

```
V3Te12Au5
1.0
-8.2816 8.2816 8.2816
8.2816 -8.2816 8.2816
8.2816 8.2816 -8.2816
V Te Au
12 48 20
Direct
0.1250 0.2500 0.3750
0.1250 0.3750 0.7500
0.2500 0.3750 0.1250
0.2500 0.8750 0.6250
0.3750 0.1250 0.2500
0.3750 0.7500 0.1250
0.6250 0.2500 0.8750
0.6250 0.8750 0.7500
0.7500 0.1250 0.3750
0.7500 0.6250 0.8750
0.8750 0.6250 0.2500
0.8750 0.7500 0.6250
0.0568 0.2271 0.1415
0.0568 0.3297 0.9154
0.0846 0.6415 0.4144
0.0846 0.9432 0.6703
0.0856 0.7271 0.6703
0.0856 0.8585 0.4154
0.1415 0.0568 0.2271
0.1415 0.5846 0.9144
0.1703 0.2271 0.5856
0.1703 0.4432 0.5846
0.2271 0.1415 0.0568
0.2271 0.5856 0.1703
0.2729 0.3297 0.9144
0.2729 0.4432 0.3585
0.3297 0.9144 0.2729
0.3297 0.9154 0.0568
0.3585 0.2729 0.4432
0.3585 0.5856 0.9154
0.4144 0.0846 0.6415
0.4144 0.8297 0.7729
0.4154 0.0856 0.8585
0.4154 0.8297 0.5568
0.4432 0.3585 0.2729
0.4432 0.5846 0.1703
0.5568 0.4154 0.8297
0.5568 0.6415 0.7271
0.5846 0.1703 0.4432
0.5846 0.9144 0.1415
0.5856 0.1703 0.2271
0.5856 0.9154 0.3585
0.6415 0.4144 0.0846
0.6415 0.7271 0.5568
0.6703 0.0846 0.9432
0.6703 0.0856 0.7271
0.7271 0.5568 0.6415
0.7271 0.6703 0.0856
0.7729 0.4144 0.8297
0.7729 0.8585 0.9432
0.8297 0.5568 0.4154
0.8297 0.7729 0.4144
0.8585 0.4154 0.0856
0.8585 0.9432 0.7729
0.9144 0.1415 0.5846
0.9144 0.2729 0.3297
0.9154 0.0568 0.3297
0.9154 0.3585 0.5856
0.9432 0.6703 0.0846
0.9432 0.7729 0.8585
0.0000 0.0000 0.0000
0.0000 0.0000 0.5000
0.0000 0.5000 0.0000
0.0000 0.5000 0.5000
0.1250 0.7500 0.8750
0.1250 0.8750 0.2500
0.2500 0.1250 0.8750
0.2500 0.6250 0.3750
0.3750 0.2500 0.6250
0.3750 0.6250 0.7500
0.5000 0.0000 0.0000
0.5000 0.0000 0.5000
0.5000 0.5000 0.0000
0.5000 0.5000 0.5000
0.6250 0.3750 0.2500
0.6250 0.7500 0.3750
0.7500 0.3750 0.6250
0.7500 0.8750 0.1250
0.8750 0.1250 0.7500
0.8750 0.2500 0.1250
```

Properties
**Uncorrected energy**: -0.295 Ry per atom
**Energy relative to the elements, uncorrected**: 53 meV/atom
**SG**: Ia-3d

=====

# 1
## Pm2Zn3Sn2 (GGA-PBE)

Data for crystalline Pm2Zn3Sn2 at its relaxed geometry.

Output
DFT formation energy: -471 meV per atom
density of states at the Fermi level: 4.17 states/eV per cell
total magnetization: 0.00 μB/f.u.
excess energy over the best structure of this formula in the dataset: 0.000 eV/atom

Cell: 4.505 6.025 6.832 Å, 109.99 90.00 111.95°
Sites, in units of the cell vectors:
Pm 0.857 0.713 0.234
Pm 0.143 0.287 0.766
Zn 0.500 0.000 0.000
Zn 0.578 0.156 0.410
Zn 0.422 0.844 0.590
Sn 0.844 0.688 0.743
Sn 0.156 0.312 0.257

---

# 2
## Pm5Zn2Sn4 (GGA-PBE)

Data for crystalline Pm5Zn2Sn4 at its relaxed geometry.

Output
DFT formation energy: -349 meV per atom
density of states at the Fermi level: 10.32 states/eV per cell
total magnetization: 0.00 μB/f.u.

Cell: 4.481 7.760 11.726 Å, 120.36 101.02 90.00°
Sites, in units of the cell vectors:
Pm 0.151 0.849 0.302
Pm 0.849 0.151 0.698
Pm 0.161 0.368 0.322
Pm 0.500 0.000 0.000
Pm 0.839 0.632 0.678
Zn 0.587 0.458 0.175
Zn 0.413 0.542 0.825
Sn 0.720 0.722 0.439
Sn 0.991 0.680 0.982
Sn 0.280 0.278 0.561
Sn 0.009 0.320 0.018

---

# 3
## Pm4ZnSn (GGA-PBE)

Data for crystalline Pm4ZnSn at its relaxed geometry.

Output
DFT formation energy: -186 meV per atom
density of states at the Fermi level: 8.58 states/eV per cell
total magnetization: 0.00 μB/f.u.

Cell: 5.169 5.169 7.325 Å, 89.98 89.99 90.00°
Sites, in units of the cell vectors:
Pm 0.501 0.997 0.265
Pm 0.501 0.998 0.731
Pm 0.001 0.497 0.731
Pm 0.001 0.497 0.265
Zn 0.001 0.997 0.498
Sn 0.501 0.497 0.998

---

# 4
## Pm2Zn3Sn (GGA-PBE)

Data for crystalline Pm2Zn3Sn at its relaxed geometry.

Output
DFT formation energy: -496 meV per atom
density of states at the Fermi level: 7.71 states/eV per cell
total magnetization: 0.00 μB/f.u.

Cell: 5.943 5.943 9.189 Å, 112.76 112.76 78.69°
Sites, in units of the cell vectors:
Pm 0.750 0.250 0.500
Pm 0.758 0.242 0.000
Pm 0.250 0.750 0.500
Pm 0.242 0.758 0.000
Zn 0.835 0.835 0.160
Zn 0.676 0.676 0.840
Zn 0.165 0.165 0.840
Zn 0.324 0.324 0.160
+++
_Worked solution_
V3Te12Au5 | PBE-GGA | optimized geometry

```
V3Te12Au5
1.0
-8.2816 8.2816 8.2816
8.2816 -8.2816 8.2816
8.2816 8.2816 -8.2816
V Te Au
12 48 20
Direct
0.1250 0.2500 0.3750
0.1250 0.3750 0.7500
0.2500 0.3750 0.1250
0.2500 0.8750 0.6250
0.3750 0.1250 0.2500
0.3750 0.7500 0.1250
0.6250 0.2500 0.8750
0.6250 0.8750 0.7500
0.7500 0.1250 0.3750
0.7500 0.6250 0.8750
0.8750 0.6250 0.2500
0.8750 0.7500 0.6250
0.0568 0.2271 0.1415
0.0568 0.3297 0.9154
0.0846 0.6415 0.4144
0.0846 0.9432 0.6703
0.0856 0.7271 0.6703
0.0856 0.8585 0.4154
0.1415 0.0568 0.2271
0.1415 0.5846 0.9144
0.1703 0.2271 0.5856
0.1703 0.4432 0.5846
0.2271 0.1415 0.0568
0.2271 0.5856 0.1703
0.2729 0.3297 0.9144
0.2729 0.4432 0.3585
0.3297 0.9144 0.2729
0.3297 0.9154 0.0568
0.3585 0.2729 0.4432
0.3585 0.5856 0.9154
0.4144 0.0846 0.6415
0.4144 0.8297 0.7729
0.4154 0.0856 0.8585
0.4154 0.8297 0.5568
0.4432 0.3585 0.2729
0.4432 0.5846 0.1703
0.5568 0.4154 0.8297
0.5568 0.6415 0.7271
0.5846 0.1703 0.4432
0.5846 0.9144 0.1415
0.5856 0.1703 0.2271
0.5856 0.9154 0.3585
0.6415 0.4144 0.0846
0.6415 0.7271 0.5568
0.6703 0.0846 0.9432
0.6703 0.0856 0.7271
0.7271 0.5568 0.6415
0.7271 0.6703 0.0856
0.7729 0.4144 0.8297
0.7729 0.8585 0.9432
0.8297 0.5568 0.4154
0.8297 0.7729 0.4144
0.8585 0.4154 0.0856
0.8585 0.9432 0.7729
0.9144 0.1415 0.5846
0.9144 0.2729 0.3297
0.9154 0.0568 0.3297
0.9154 0.3585 0.5856
0.9432 0.6703 0.0846
0.9432 0.7729 0.8585
0.0000 0.0000 0.0000
0.0000 0.0000 0.5000
0.0000 0.5000 0.0000
0.0000 0.5000 0.5000
0.1250 0.7500 0.8750
0.1250 0.8750 0.2500
0.2500 0.1250 0.8750
0.2500 0.6250 0.3750
0.3750 0.2500 0.6250
0.3750 0.6250 0.7500
0.5000 0.0000 0.0000
0.5000 0.0000 0.5000
0.5000 0.5000 0.0000
0.5000 0.5000 0.5000
0.6250 0.3750 0.2500
0.6250 0.7500 0.3750
0.7500 0.3750 0.6250
0.7500 0.8750 0.1250
0.8750 0.1250 0.7500
0.8750 0.2500 0.1250
```

Properties
**Uncorrected energy**: -0.295 Ry per atom
**Energy relative to the elements, uncorrected**: 53 meV/atom
**SG**: Ia-3d

=====

# 1
## Pm2Zn3Sn2 (GGA-PBE)

Data for crystalline Pm2Zn3Sn2 at its relaxed geometry.